First of all, I have a few disclaimers. 1) I beg your forgiveness for any misspellings, mistypings, run-on sentences, poorly worded phrases, etcetera etcetera. I hate bad grammar as much as the next guy. However, I write these bad boys on my phone and for some reason, my phone autocucumbers overzealously. 2) I type like I talk (I know, a less forgivable offense). So, if my posts ever seem like they just keep going on and on and on and they make no sense and don't ever get to the point, blame it on my AD... Did you know they have really cool Superhero ABC flash cards on Pinterest? Go to my Pinterest and download them! (Ashley Klingler) (I tried to include a link but I am inept when it comes to all things technical. If you've seen New Girl, think Nick Miller). A is for Aquaman!!
Speaking of Aquaman, it's shark week at my house. *Real quick, no filter. Right? Right. Okay.* I have a useless uterus. That worthless pile of cells only has one bloody setting: bloody. That is a big reason why it was so hard for me to get pregnant. They call it endometrial hyperplasia, or an overgrowth of the lining of the uterus, which causes severe menstrual bleeding. I'm one of the poor unfortunate souls who doesn't just bleed monthly. After I had the boy, I bled for 6 months STRAIGHT. I had a day or two where I would get a break but that was few and far between. My poor vagina. My poor husband. I think Kotext should endorse me, seeing how I singlehandedly keep them in business. Hey Kotex, hmu, yo!
Anywho... after I had Co, I bled, and bled, and hey, I bled some more. In the past, when I have been dragging much uterus behind me in a Radio Flyer for an extended period (period, get it!?) of time, my doctor has put me on Progesterone to stop the bleeding. Well, for some reason this time, even when I was taking the highest dose of Progesterone possible for me, I didn't stop bleeding. I had the worst cramps I had ever had, second only to miscarrying my first baby. I went in to talk to my doctor and he asked if I was ready to get my junk yanked. I'm 28 so, I was not super enthusiastic about that option. He told me to take a bit to mull it over and to see what would happen as far as my ladybits. I was a day away from my appointment to discuss my decision and the bleeding just stopped. I didn't care the reason, be it good, bad, or witchcraft. I was just happy for solice. So, I cancelled my appointment and began waiting for anything to change.
If anyone reading this has never had a period, let me provide you with a little insight. Normal periods are uncomfortable. Abnormal periods can be a nightmare. Each month, if an egg is not fertilized, the lining of the uterus begins to slough off and shed. Uterine contractions, or cramps, help move the old lining out of the vagina in the form of blood. Imagine for a moment, a time you took an exhausting poop. The kind of poop where your whole body aches, your butt hole burns, and you feel like you need to shower. The Taco Bell poops. It's kind of like that. The uterus constantly contracts so the whole downstairs section is just plain shot. I can't speak for all women, but I get the poops something terrible when I bleed. It all just turns to crap down there, literally. So, imagine for a moment, that this happens to you for 6 months straight. How am I not dead? I'm a wizard, Harry.
By some act of God, I had not bled at all for the past 2 months. I thought I might be pregnant because, why else would I get respite from the bloody horror that is my cycle? A crossroads deal? I was about to buy a pregnancy test yesterday, when I felt a familiar twinge. I knew the bloodletting was upon us. Sure enough, my uterus is hamburger.
You can imagine that with all this blood, it is not exactly easy to shelter a toddler from the truth. We are a very open family. We poop with the door open, we walk around naked, it's normal to us. *By we, I mean me*
So, Jules is almost always in the bathroom when I am. He noticed there was blood in my underwear after I had Cora. I explained to him that mommies bleed after they have a baby. He seemed grossed out but he was surprisingly cool with it. He knows I wear a "mommy diaper" for "my bleed." But, since I hadn't bled for a while, I think he kind of forgot about it.
=====
CrP2F after structural relaxation, computed with PBE+U.

- polymorph energy (0 for the lowest one) (meV per atom) = 0.0
- SG = No. 122

Cell lengths 3.3934, 3.3934, 21.1911 Å; angles 90.00, 90.00, 90.00 degrees
Atoms (fractional coordinates):
1 Cr 0.0000 0.0000 0.0000
2 Cr 0.0000 0.5000 0.2500
3 Cr 0.5000 0.0000 0.7500
4 Cr 0.5000 0.5000 0.5000
5 P 0.2105 0.2500 0.1250
6 P 0.2500 0.7105 0.3750
7 P 0.2500 0.7895 0.8750
8 P 0.2895 0.2500 0.6250
9 P 0.7105 0.7500 0.6250
10 P 0.7500 0.2105 0.8750
11 P 0.7500 0.2895 0.3750
12 P 0.7895 0.7500 0.1250
=====
This morning, when I was in the bathroom, he was there chatting me up. He looked down. "Did your bleed come from your vaginey?" "Yep, Mommy bleeds from her vagina." "Bleh. I don't want to bleed from my penis." "Jules, if you bleed from your penis, we have a big problem." "Oh, okay." I got a new pad and started to roll the old one up in the wrapper. "HEY! YOU'RE MAKING A DIAPER BURRITO!" "Yep. This is how I throw my old pad away." "Can I keep it?" You can imagine my response.
-- Records of crystals, kept here for reference --
┌──
# Ta2CuPt

A geometry-optimized Ta2CuPt structure (PBE, Alexandria via LeMat-Bulk).

For the density of states at the Fermi level, the calculation gives 2.4 states/eV/f.u. Its space group is P2/m, No. 10. The calculation puts the magnetic moment at 0.00 Bohr magnetons per cell. For the energy, the calculation gives -34.93 eV per cell.

abc: 2.8035 4.0646 5.5774
angles: 90.00 90.08 90.00
Last column: nearest neighbours and their distance in Å.
Element x y z (fractional)
Ta1 0.0001 0.0000 0.2470  4 Ta 2.75-2.82, 4 Cu 2.83, 4 Pt 2.84
Ta2 0.9999 0.0000 0.7530  4 Ta 2.75-2.82, 4 Cu 2.83, 4 Pt 2.84
Cu1 0.5000 0.5000 0.0000  2 Pt 2.79, 2 Cu 2.80, 8 Ta 2.83
Pt1 0.5000 0.5000 0.5000  2 Cu 2.79, 2 Pt 2.80, 8 Ta 2.84

# Ta2CuPt2

A geometry-optimized Ta2CuPt2 structure (PBE, Alexandria via LeMat-Bulk).

As for the polymorph energy (0 for the lowest one): 0.121 eV/atom. For the density of states at the Fermi level, the calculation gives 3.4 states/eV/f.u. Its space group is P4/mbm, No. 127. The calculation puts the magnetic moment at 0.00 Bohr magnetons per cell.

abc: 7.2190 7.2190 3.2941
angles: 90.00 90.00 90.00
Last column: nearest neighbours and their distance in Å.
Element x y z (fractional)
Ta1 0.1713 0.3287 0.0000  6 Pt 2.59-2.76
Ta2 0.3287 0.8287 0.0000  6 Pt 2.59-2.76
Ta3 0.6713 0.1713 0.0000  6 Pt 2.59-2.76
Ta4 0.8287 0.6713 0.0000  6 Pt 2.59-2.76
Cu1 0.0000 0.0000 0.5000  4 Pt 2.82, 8 Ta 3.14
Cu2 0.5000 0.5000 0.5000  4 Pt 2.82, 8 Ta 3.14
Pt1 0.1326 0.6326 0.5000  6 Ta 2.59-2.76, 1 Pt 2.71, 2 Cu 2.82
Pt2 0.3674 0.1326 0.5000  6 Ta 2.59-2.76, 1 Pt 2.71, 2 Cu 2.82
Pt3 0.6326 0.8674 0.5000  6 Ta 2.59-2.76, 1 Pt 2.71, 2 Cu 2.82
Pt4 0.8674 0.3674 0.5000  6 Ta 2.59-2.76, 1 Pt 2.71, 2 Cu 2.82

# Ta2CuPt

A geometry-optimized Ta2CuPt structure (PBE, Alexandria via LeMat-Bulk).

For the density of states at the Fermi level, the calculation gives 2.8 states/eV/f.u. Its space group is R-3m, No. 166. The calculation puts the magnetic moment at 0.00 Bohr magnetons per cell. For the energy, the calculation gives -34.02 eV per cell.

abc: 9.4256 9.4256 9.4256
angles: 17.36 17.36 17.36
Last column: nearest neighbours and their distance in Å.
Element x y z (fractional)
Ta1 0.2486 0.2486 0.2486  3 Cu 2.81, 6 Ta 2.84, 3 Pt 2.88
Ta2 0.7514 0.7514 0.7514  3 Cu 2.81, 6 Ta 2.84, 3 Pt 2.88
Cu1 0.5000 0.5000 0.5000  6 Ta 2.81, 6 Cu 2.84
Pt1 0.0000 0.0000 0.0000  6 Pt 2.84, 6 Ta 2.88

# TaCuPt2

A geometry-optimized TaCuPt2 structure (PBE, Alexandria via LeMat-Bulk).

For the density of states at the Fermi level, the calculation gives 2.3 states/eV/f.u. Its space group is R3m, No. 160. The calculation puts the magnetic moment at 0.00 Bohr magnetons per cell. For the energy, the calculation gives -28.82 eV per cell.

abc: 9.1748 9.1748 9.1748
angles: 17.70 17.70 17.70
Last column: nearest neighbours and their distance in Å.
Element x y z (fractional)
Ta1 0.0000 0.0000 0.0000  3 Cu 2.77, 3 Pt 2.77, 6 Ta 2.82
Cu1 0.7493 0.7493 0.7493  3 Pt 2.67, 3 Ta 2.77, 6 Cu 2.82
└──
-- End of the records of crystals --
I know there will be more conversations about my "bleed." Have you ever had to explain your period to a little kid? What did you tell them?
Hopefully "my bleed" lasts for a normal amount of time. If my douche of a uterus could hold out for one more baby, that would be great. The more I roll along though, I kind of want the backstabbing little traitor out of my body. Is it customary to keep your uterus after a hysterectomy? In a little jar or something? I want that sucker to be my slave for the rest of my life. Uterus paperweight anyone?
I think Kotext should totally be a thing... #kotext
ReplyDeleteHahaha! Yess! Ash, I love this!! Please yes have a uterus paperweight!